Richer data can help improve the accuracy of flood hazard maps that are used by governments, insurers, and investors to determine the flood risk, according to a study by the Canadian Water Network (CWN) and Insurance Bureau of Canada (IBC).
Large-scale flood risk models currently rely on low-resolution (30-metre) topographical data of mixed quality that give limited consideration to municipal flood defences. The study found that five-metre grid spacing provided the optimal resolution to evaluate flooding from intense rain events.
“The study’s conclusions are important for insurers wanting to expand flood coverage for consumers, particularly in areas identified as high risk on traditional flood hazard maps,” said Craig Stewart, vice president of federal affairs at IBC. “Improving access to richer information is a significant opportunity for Canadian municipalities, insurers, and homeowners to better understand flood risk and to take action.”
Flooding is a costly issue for Canadian homeowners, municipalities, and the insurance sector – and these costs have been growing. Property and casualty insurance payouts from extreme weather have more than doubled every five to 10 years since the 1980s.
The project’s conclusions support IBC’s position on the need for a National Action Plan on Flooding. Specifically, they strengthen IBC’s call on governments to target priority infrastructure investments in the areas at highest risk of flooding to protect as many people as cost-effectively as possible.
Unrelated to this entry: calculated crystals
'''
10
Lattice="-0.1784 -3.8044 -3.4809 1.9391 -4.2819 4.5805 -6.3962 1.1452 -0.9238" Properties=species:S:1:pos:R:3 comment="Cs2MnMoO6 (GGA+U, relaxed)" total_energy_ev_per_atom=-6.146 total_magnetization_mub_per_cell=2.97 spacegroup="P-3m1, No. 164" pbc="T T T"
O -0.3719 -1.9115 0.2049
Mo 0.0000 0.0000 0.0000
O -4.2637 -5.0296 -0.0291
Cs -3.6680 -1.7343 -0.0685
O -1.5454 -3.1166 -2.2592
Mn -0.0892 -1.9022 -1.7404
O 0.8107 -4.5230 2.9985
O -3.0901 -3.8245 2.4351
Cs -0.9675 -5.2068 0.2443
O -5.4463 -2.4182 -2.8226

~~~~~

## ZrMoRu (PBE-GGA)

Data for a geometry-optimized ZrMoRu structure.

Computed properties:
calculated formation energy = 0.27 eV per atom
DOS(E_F) = 3.2 states/eV per cell
total DFT energy (no corrections) = -9.285 eV per atom

abc: 4.3833 4.3833 4.3833
angles: 60.00 60.00 60.00
Positions (direct):
Zr: 0.0000 0.0000 0.0000
Ru: 0.7500 0.7500 0.7500
Mo: 0.5000 0.5000 0.5000

---

## MnInGaBi2 (PBE-GGA)

Data for a geometry-optimized MnInGaBi2 structure.

Computed properties:
calculated formation energy = 0.35 eV per atom
DOS(E_F) = 3.1 states/eV per cell
total DFT energy (no corrections) = -4.192 eV per atom

abc: 5.2788 5.1427 5.2788
angles: 90.00 90.00 90.00
Positions (direct):
In: 0.0000 0.5000 0.0000
Mn: 0.0000 0.0000 0.0000
Ga: 0.5000 0.5000 0.5000
Bi: 0.5000 0.0000 0.0000
Bi: 0.0000 0.0000 0.5000

---

Please write out number 2 again, unchanged.
## MnInGaBi2 (PBE-GGA)

Data for a geometry-optimized MnInGaBi2 structure.

Computed properties:
calculated formation energy = 0.35 eV per atom
DOS(E_F) = 3.1 states/eV per cell
total DFT energy (no corrections) = -4.192 eV per atom

abc: 5.2788 5.1427 5.2788
angles: 90.00 90.00 90.00
Positions (direct):
In: 0.0000 0.5000 0.0000
Mn: 0.0000 0.0000 0.0000
Ga: 0.5000 0.5000 0.5000
Bi: 0.5000 0.0000 0.0000
Bi: 0.0000 0.0000 0.5000

~~~~~

No. 1
Entry from the Alexandria database: a relaxed structure of Ce2SbPRh6 (PBE).

Values from the calculation:
- space group = Pmmn
- total magnetic moment (μB per cell) = 0.7
- calculated total energy (Ry/atom) = -0.53193
- raw formation energy (meV/atom) = -686
- N(E_F) (states/eV/atom) = 0.72

Cell lengths 5.5627, 8.1328, 8.5900 Å; angles 90.00, 90.00, 90.00 degrees
Each line ends with the local moment (μB).
Atoms (fractional coordinates):
P (0.0000, 0.7777, 0.0000)  0.00
Rh (0.2485, 0.9929, 0.5000)  -0.03
Ce (0.5000, 0.7429, 0.2346)  0.25
P (0.5000, 0.2223, 0.5000)  0.00
Rh (0.2515, 0.0071, 0.0000)  -0.03
Rh (0.7515, 0.9929, 0.5000)  -0.03
Rh (0.2501, 0.5562, 0.0000)  -0.03
Rh (0.5000, 0.1019, 0.2527)  -0.04
Rh (0.7499, 0.5562, 0.0000)  -0.03
Rh (0.5000, 0.1019, 0.7473)  -0.04
Rh (0.0000, 0.8981, 0.7527)  -0.04
Rh (0.2499, 0.4438, 0.5000)  -0.03
Rh (0.0000, 0.8981, 0.2473)  -0.04
Ce (0.0000, 0.2571, 0.2654)  0.25
Sb (0.5000, 0.2886, 0.0000)  0.00
Ce (0.5000, 0.7429, 0.7654)  0.25
Rh (0.7485, 0.0071, 0.0000)  -0.03
Rh (0.7501, 0.4438, 0.5000)  -0.03
Ce (0.0000, 0.2571, 0.7346)  0.25
Sb (0.0000, 0.7114, 0.5000)  0.00



No. 2
'''
Stewart said IBC is also calling on governments to immediately invest in improving the quality of terrain data and to make that data available so that property-owners can identify their properties’ exposure to floods and take measures to protect themselves.
“We need a proactive, cross-sector effort to continue to advance flood risk evaluation in Canada, one that reaps more value and effective actions from our collective expertise and knowledge,” said Bernadette Conant, chief executive officer of CWN.
Conant’s team presented the study’s findings to decision-makers from the various sectors earlier this spring and facilitated a discussion with IBC on next steps.
“There is a wealth of data available – it’s a matter of coordinating that information in a way that is useful to all sectors,” Conant said.
The study emphasizes that Canada has an opportunity to create a central hub to connect and curate relevant data from the various sectors to improve flood risk evaluation.
A summary of the study’s findings is available here.